An EXCERPT from the channeling presented by Denise Laberge on July 19, 2016, in la Molina, Spain.
The Pink Flame of Cosmic Love
I am Paul the Venetian
The energy of love is an energy that supports life and the expansion of life. We could even say that it is life in action.
Very few children of God can define or even have an idea of what life is. When you ask this question to a human, he will always reply by using words that describe an action in his own world. For example: the plant that grows, the wind in the trees, a smile on a face, the song of birds; or even love, courage. In fact, all these words describe realities based on feelings from his personal observations, etc.
This definition is valid because life and love are interrelated. All these words and expressions are also part of life. However, each individual describes life according to his own evolution, his understanding of himself and his world.
The Love-light is alive and active when it is transmitted with intention and will. When you transmit it in consciousness in order to communicate with an object or a situation, your consciousness encompasses this object or situation and it is now part of your consciousness and you become one. You are always your own consciousness, but you have widened the action field of your consciousness to include and come into contact with an external energy that can be near or further away. This is done in order to come into contact with yourself, your individual consciousness.
Love-light is a way to get acquainted with the universe and to become known by another part/person/being in the Universe. It is the heart that makes contact with another heart and that allows the contact, the understanding, the exchange. Your energetic signature is in this love-light, which is the reflection of who you are in all your aspects. It is the fusion of the life energies that come into contact and learn.
The more a being elevates himself spiritually (in consciousness), the more he can include a greater world in his consciousness. The less a being is awake, spiritually speaking, the more his consciousness is “glued” to himself. He cannot encompass in his perceptions all that is around or external to him.
The consciousness of Mother Earth includes her whole body, the bodies of its inhabitants, and even more.
To make a true contact with another person, make it a habit to surround the person with your love-light and you will see a considerable difference in the behaviour of people. Everyone feels what a person transmits to someone else, either consciously or not. The person does not know this consciously, but the soul feels it. The Flames represent a frequency of love-light, as love always favours the blossoming of consciousness, of life, and of all that is in balance.
A quality is an energy frequency that is in harmony. A non-quality is an energy frequency out of balance. Love is a frequency always in balance and so all that is in its field of action finds itself in the same balance, which consequently creates beauty and harmony.What is in unbalance cannot create beauty.
Calculated crystals that have nothing to do with the text >
........
# Pm5Ag4Ir
Theoretical PXRD pattern, copper Kα. Input: a cell relaxed with PBE.

Structural model:
```
data_Pm5Ag4Ir
_symmetry_space_group_name_H-M 'P 4/m m m'
_symmetry_Int_Tables_number 123
_symmetry_space_group_name_Hall '-P 4 2'
_cell_length_a 3.651
_cell_length_b 3.651
_cell_length_c 18.830
_cell_angle_alpha 90.00
_cell_angle_beta 90.00
_cell_angle_gamma 90.00
loop_
_atom_site_label
_atom_site_fract_x
_atom_site_fract_y
_atom_site_fract_z
_atom_site_occupancy
Pm1 0.000 0.000 0.000 1
Pm2 0.000 0.000 0.205 1
Pm3 0.000 0.000 0.412 1
Ag1 0.500 0.500 0.102 1
Ag2 0.500 0.500 0.305 1
Ir1 0.500 0.500 0.500 1
```

Largest 10 diffraction maxima, in order of rising 2θ, 5° ≤ 2θ ≤ 70°:
Position (°2θ), I (rel.)
9.39, 32
14.11, 17
34.20, 1000
34.75, 500
37.80, 23
48.33, 82
49.96, 177
50.25, 14
60.89, 163
61.94, 351
........
The text goes on >
In balance, the forces of structure, order, expansion and change create harmony allowing the expansion of life, the creation of forms, etc. Love-light is an energy that is active and alive, it is not stagnant.
With all my love, Paul the Venetian
Channeled by Denise Laberge: